24 hours after you give birth a nurse will come into your hospital room. Well ... actually, in our case, it was a CNA. But the point is --- SOMEONE will come into your hospital room and whisk your little darling away to the place we refer to as "The Wizard's Room". I don't know why we call it that. We just do.
There are a series of tests they do on your little babe at this time. I have no idea what any of the tests are. I suppose there are probably parents out there that are nosey enough to ask. We didn't. I trust our medical staff and I assume that whatever it is they are doing in the secret wizard's lair is probably A-OK.
Next to the text, the page also holds records of molecules:
Entry from the Open Molecules 2025 dataset: a cluster of 5 separate species, C27H36BBr2F12O15P3 in total at a distorted geometry (ωB97M-V/def2-TZVPD).

Cartesian coordinates (Å):
C1 -5.709 3.614 -4.327
C2 -4.647 2.475 -4.502
Br1 -5.405 0.716 -4.096
C3 -3.278 2.784 -3.784
Br2 -1.893 2.931 -5.169
C4 -2.884 1.857 -2.623
C5 -3.522 1.801 -1.461
P1 -5.017 2.822 -1.085
C6 -6.372 1.674 -0.568
C7 -4.594 4.037 0.266
C8 -2.982 0.854 -0.384
O1 -3.729 0.251 0.314
C9 -1.465 0.732 -0.311
B1 -0.798 0.536 1.126
O2 -0.624 -0.784 1.568
O3 -0.416 1.544 1.966
C10 -0.811 0.789 -1.461
P2 1.019 0.643 -1.588
P3 1.961 2.496 -0.952
O4 1.605 2.952 0.401
O5 1.629 3.721 -1.967
O6 3.618 2.350 -0.988
C11 -1.665 0.937 -2.725
O7 -1.390 0.328 -3.698
H1 -6.654 3.190 -3.978
H2 -5.825 4.154 -5.279
H3 -5.384 4.363 -3.597
H4 -4.432 2.467 -5.575
H5 -3.370 3.785 -3.350
H6 -6.203 1.267 0.441
H7 -7.368 2.133 -0.594
H8 -6.392 0.843 -1.286
H9 -4.881 5.026 -0.110
H10 -5.063 3.806 1.229
H11 -3.493 4.069 0.339
H12 -1.511 -1.085 1.825
H13 -1.147 2.130 2.204
H14 1.396 -0.312 -0.608
H15 2.173 4.475 -1.688
H16 3.849 1.418 -0.847
C12 1.690 0.091 4.200
C13 0.832 -1.136 4.413
O8 1.583 -2.174 5.074
C14 1.683 -2.092 6.397
O9 1.207 -1.238 7.085
C15 2.464 -3.302 6.919
F1 3.555 -3.557 6.179
F2 1.697 -4.407 6.885
F3 2.879 -3.138 8.177
H17 2.604 -0.170 3.664
H18 1.147 0.842 3.629
H19 1.991 0.529 5.152
H20 0.526 -1.544 3.454
H21 -0.076 -0.901 4.970
C16 -0.670 -2.532 -5.277
C17 -0.665 -1.418 -6.302
O10 0.460 -1.549 -7.194
C18 0.310 -2.400 -8.204
O11 -0.666 -3.054 -8.424
C19 1.566 -2.391 -9.084
F4 2.692 -2.419 -8.353
F5 1.612 -1.283 -9.845
F6 1.601 -3.442 -9.907
H22 0.281 -2.565 -4.744
H23 -1.475 -2.384 -4.558
H24 -0.805 -3.504 -5.754
H25 -0.552 -0.459 -5.803
H26 -1.599 -1.383 -6.863
C20 4.670 3.898 1.501
C21 4.537 4.613 2.828
O12 4.479 3.675 3.918
C22 5.652 3.216 4.348
O13 6.721 3.518 3.905
C23 5.444 2.271 5.537
F7 4.435 1.410 5.324
F8 5.150 2.960 6.653
F9 6.536 1.547 5.791
H27 3.871 3.171 1.371
H28 4.636 4.606 0.673
H29 5.611 3.348 1.446
H30 3.603 5.172 2.855
H31 5.346 5.328 2.983
C24 0.599 -5.824 4.342
C25 0.498 -6.779 3.174
O14 -0.144 -6.143 2.051
C26 0.635 -5.379 1.290
O15 1.801 -5.184 1.462
C27 -0.176 -4.810 0.119
F10 -1.376 -4.352 0.514
F11 -0.397 -5.750 -0.815
F12 0.458 -3.796 -0.477
H32 -0.385 -5.425 4.594
H33 1.011 -6.326 5.217
H34 1.238 -4.973 4.100
H35 -0.126 -7.631 3.441
H36 1.474 -7.171 2.888

2S+1 = 1
Charge = 0
Gap between HOMO and LUMO = 0.2565 Eh

How positive or negative is each atom? The Mulliken charges in e answer that:
1. C -1.156
2. C 0.065
3. Br -0.133
4. C -0.573
5. Br -0.115
6. C 0.215
7. C 0.522
8. P 0.589
9. C -1.169
10. C -1.259
11. C 0.006
12. O -0.596
13. C 0.696
14. B 0.193
15. O -0.339
16. O -0.543
17. C 0.300
18. P -0.345
19. P 0.996
20. O -0.573
21. O -0.544
22. O -0.491
23. C -0.705
24. O -0.370
25. H 0.305
26. H 0.317
27. H 0.332
28. H 0.533
29. H 0.503
30. H 0.343
31. H 0.406
32. H 0.268
33. H 0.365
34. H 0.366
35. H 0.334
36. H 0.251
37. H 0.275
38. H 0.059
39. H 0.331
The only test I know they do for sure is a hearing screening. The only reason anyone bothered to tell me about the hearing screening is because our little lady failed hers. Apparently that happens alot and it really wasn't concerning to anyone in a white coat so we just rolled with the punches.
They tested her again before we were discharged ... another failure. Actually I believe the term the used was, "referred". But "failure" seems more clear cut to me --- so that's what I'll use.
She failed a handul of tests during her first couple of months.
It's an interesting process really. They take us back into a little sound proof box. When the baby is sound asleep they stick little plugs in her ears and somehow they are able to magically tell you things you didn't know were possible.
Like, how far down the ear canal sound is able to travel or whether or not there is movement in the eardrums.
At her 2 month audiology appointment, Anna Kate was still referring in both ears and apparently had no movement in her ear drums. We were instructed to follow up in two weeks to have the same tests done one more time. We were told is she failed the tests again we would be moving on to "the next step". "The "next step" is similar to an EKG only it's done on the ears. From there we would be talking about tubes or cochlear implants or other possible treatments.
At the follow up appointment we were pleased to find out that her right ear actually passed with flying colors! Hooray! Her left ear, however, was still referring. They administered "the next step" test. Again, a really cool process. They stuck little stickies attached to wires on her ears, temples, and forehead & then we sat in silence for several minutes,
The findings were all positive --- her nerve is in tact and there are no abnmormalities or deformities. Great news!
They tell us that all signs point to nothing more than a little fluid in her inner ear. We go back in 2 months to have it checked out. They want to monitor it for infection but otherwise no treatment is neccessary.
In typical Nicole fashion, I cried right there in the exam room when they told us this. Tears of relief? Happiness? Sheer joy?
Of course, had things turned out differently we would have been fine with that too. We were prepared to take whatever steps were neccessary to ensure our daughter had the appropriate treatment. We were blessed with the results we ended up with --- but hearing loss in children is a very serious condition & one that doesn't receive alot of attention.
Perhaps because at first glance it doesn't "seem" as devastating as other childhood diseases & disabilities.
But after talking to several professionals in the industry (Thank you Megan, Dessi, Mark, Rachel, and Lou!) and parents of children with partial or total hearing loss, I see things very differently.
Hearing loss can (and should) be diagnosed almost immediately. A child who doesn't hear properly can face difficult road blocks as early as 6 months when they are beginning to explore speech. It makes sense that if a child can't hear sounds properly that they will not be able to form sounds properly either.
I am not an authority on this nor will I pretend to be one. But it doesn't take a Rhodes Scholar to see the path a hearing impaired child will inevitably be forced down if left untreated.
Treatment. It seems like common sense to you and I. But I was amazed to find out how many people out there don't prioritize something like this.
An old friend of mine works with children with hearing loss in New Mexico. When we were first dealing with AK's issues my friend wrote to me. She sent me several sources of information on everything from where to learn sign language to programs that provided assistance to famnilies dealing with hearing loss. I'm amazed by all the help that is out there designed to make the world more accessible to those with hearing loss.
Another friend, here in Montana, talked to me about her experiences working with the parents of hearing impaired children. She talked of parents who had not been proactive in dealing with their children's disability*.
(*Let me say for the record, I do not actually see hearing loss as a disability. However, when speaking of these parents in particular I feel it appropriate to use the term disability --- because by not DEALING with it and taking advantage of the plethora of resources out there ---- they are allowing hearing loss to become a disability.)
She brought me to tears when she described a mom and dad who never bothered to learn how to communicate with their child through sign language. I can not imagine being a young girl, coming home from school, and not being able to speak -- or sign --- to the people who were supposed to be my safety nets. It breaks my heart to think of children living in a home that does not prioritize something as important as communication. How difficult it must be, as a child, to do even simple things like play with friends or tell your mother that you're sad/happy/scared ... when the people you're trying to speak to don't have the tools it requires to understand what you're saying. Devastating.
It is especially sad when you come to realize that money and/or access to the neccessary resources don't have to be issues. Like I mentioned earlier, there are a vast number of resources there for the using--- many of them FREE.
On a similar note, I have a dear friend who is a speech therapist here in Montana. I was talking to her recently about this very topic.
She told me she sees quite a bit of the same thing. She is currently working in a position where she provides services to her clients for free. Well .. free to the clients. And even though it costs them nothing but their time, there are people out there who do not take it seriously enough to show up for their schedules appointments.
It boggles my mind.
Anyhow, I guess that's my tirade for tonight.
The moral of my story is this: We've all got battles to fight when it comes to our children... lessons to learn, hills to climb. But no matter which struggles are placed before us remember to love your babies. Love every part of them ... even their ears. :) Protect them. Help them. Teach them. (( . learn from them too. )) Ask questions. Ask them again. Research/investigate. Take precautions. Take them twice. Go overboard. Do whatever it takes to make sure they have all the tools they need to make their mark on this crazy, rapidly-spinning, amazing world. Don't let them get lost in the haze.
3 months ago
Hear, hear!! Uh, literally! YAY Anna Kate! I've seen the same thing w/ parents, only with CF, which can easily take a child/person's life w/o the proper care. Since it is usually diagnosed in childhood, parents are (or should be) their child's advocate when they can't be... which is so obvious when I type that... but, sigh.. it's not always, is it?